**Source:**
-- begin --
[1]
The following is a DFT calculation (wB97M-V/def2-TZVPD) of a molecular structure, C4H6O2 at a distorted geometry.

Computed properties:
HOMO level: -8.40 eV
spin multiplicity: 1
LUMO level: 0.026 Eh
Kohn-Sham gap: 9.10 eV

CARTESIAN COORDINATES (ANGSTROEM)
O 1.39 1.27 0.12
C 0.37 0.35 -0.02
C -0.16 -0.38 1.13
C 0.56 -1.10 -0.32
O -0.50 -1.12 -1.25
C -0.62 0.32 -1.18
H 1.07 1.95 0.74
H 0.48 -0.38 2.00
H -1.21 -0.61 1.26
H 0.50 -1.77 0.59
H -1.65 0.63 -0.98
H -0.23 0.83 -2.08

Results of the Mulliken charge analysis, in e, for atoms 1 through 6: O -0.4725; C 0.6246; C -0.8435; C -0.3203; O -0.3221; C -0.5142

=====

[2]
The following is a DFT calculation (wB97M-V/def2-TZVPD) of a single C4H6O2 molecule at a distorted geometry.

Computed properties:
SMILES: CC(=O)C(C)=O
HOMO level: -9.58 eV
spin multiplicity: 1
LUMO level: -0.006 Eh
Kohn-Sham gap: 9.41 eV

CARTESIAN COORDINATES (ANGSTROEM)
C 1.66 -1.25 -0.19
C 1.00 0.09 0.09
O 1.49 1.19 -0.05
C -0.47 0.02 0.49
C -1.10 1.28 1.06
O -1.11 -0.99 0.28
H 0.88 -1.70 -0.82
H 2.70 -0.94 -0.42
H 1.55 -1.61 0.85
H -2.08 1.10 1.50
H -0.99 2.17 0.41
H -0.43 1.66 2.00

Results of the Mulliken charge analysis, in e, for atoms 1 through 6: C -0.9625; C 0.5431; O -0.5427; C 0.7290; C -1.0206; O -0.5374

=====

[3]
The following is a DFT calculation (wB97M-V/def2-TZVPD) of a single C4H6O2 molecule.

Computed properties:
SMILES: CC(=O)CC=O
HOMO level: -9.99 eV
spin multiplicity: 1
LUMO level: 0.022 Eh
Kohn-Sham gap: 10.58 eV

CARTESIAN COORDINATES (ANGSTROEM)
C -1.67 -0.04 0.10
C -0.35 0.35 0.73
O -0.23 0.45 1.93
C 0.85 0.57 -0.18
C 1.57 -0.73 -0.49
O 1.94 -1.05 -1.59
H -1.56 -0.87 -0.61
H -2.10 0.80 -0.45
H -2.36 -0.34 0.89
H 0.61 1.06 -1.12
H 1.56 1.19 0.40
H 1.75 -1.39 0.39

Results of the Mulliken charge analysis, in e, for atoms 1 through 6: C -1.0564; C 0.6437; O -0.5294; C -0.4754; C 0.0047; O -0.4596

=====

[4]
The following is a DFT calculation (wB97M-V/def2-TZVPD) of a single C4H6O2 molecule at a distorted geometry.

Computed properties:
HOMO level (spin up / spin down): -9.88 / -9.75 eV
spin multiplicity: 1
LUMO level (spin up / spin down): -0.022 / -0.018 Eh
Kohn-Sham gap (spin up / spin down): 9.27 / 9.26 eV

CARTESIAN COORDINATES (ANGSTROEM)
C 0.56 1.60 -0.53
C 0.74 0.13 -0.41
O 1.55 -0.48 -1.06
C 0.04 -0.80 0.54
C -1.36 -1.15 0.52
O 0.36 -2.01 -0.07
H 1.05 2.08 0.33
H 1.03 1.95 -1.45
H -0.50 1.85 -0.50
H 0.41 -0.74 1.57
H -1.97 -1.07 -0.37
H -1.90 -1.36 1.45

Results of the Mulliken charge analysis, in e, for atoms 1 through 6: C -1.1007; C 0.5253; O -0.4950; C 0.4791; C -0.7217; O -0.4500

=====

[5]
The following is a DFT calculation (wB97M-V/def2-TZVPD) of a single C4H6O2 molecule at a distorted geometry.

Computed properties:
HOMO level: -9.59 eV
spin multiplicity: 1
LUMO level: 0.031 Eh
Kohn-Sham gap: 10.43 eV

CARTESIAN COORDINATES (ANGSTROEM)
O -1.61 -0.19 -1.12
C -0.61 -0.75 -0.32
C 0.85 -0.31 -0.46
C 0.63 1.07 0.13
C -0.18 -0.11 1.02
O 1.10 -0.80 0.90
H -1.92 0.62 -0.69
H -0.73 -1.84 -0.30
H 1.58 -0.65 -1.19
H 1.63 1.47 0.40
H 0.02 1.86 -0.30
H -0.74 -0.39 1.94

Results of the Mulliken charge analysis, in e, for atoms 1 through 6: O -0.5376; C -0.1265; C -0.0068; C -0.6393; C -0.2716; O -0.4507

=====

[6]
The following is a DFT calculation (wB97M-V/def2-TZVPD) of a single C4H6O2 molecule.

Computed properties:
SMILES: C=C[C@H](O)C=O
HOMO level: -9.83 eV
spin multiplicity: 1
LUMO level: 0.027 Eh
Kohn-Sham gap: 10.57 eV

CARTESIAN COORDINATES (ANGSTROEM)
C -0.88 -1.35 0.38
C -0.77 -0.06 0.70
C 0.11 0.86 -0.09
O -0.21 1.01 -1.47
C 1.54 0.28 -0.13
O 1.82 -0.87 0.08
H -1.31 -2.08 1.05
H -0.46 -1.73 -0.55
H -1.18 0.31 1.64
H 0.15 1.85 0.38
H -1.14 0.77 -1.59
H 2.33 1.00 -0.41

Results of the Mulliken charge analysis, in e, for atoms 1 through 6: C -0.6359; C -0.2343; C 0.0646; O -0.5354; C 0.0302; O -0.4384

=====

[7]
The following is a DFT calculation (wB97M-V/def2-TZVPD) of 2 unconnected molecules or ions with the total composition C4H6O2 at a distorted geometry.
-- stop --
**Exercise:**
The reader should duplicate the whole of the listing above word for word.
**Here it is:**
[1]
The following is a DFT calculation (wB97M-V/def2-TZVPD) of a molecular structure, C4H6O2 at a distorted geometry.

Computed properties:
HOMO level: -8.40 eV
spin multiplicity: 1
LUMO level: 0.026 Eh
Kohn-Sham gap: 9.10 eV

CARTESIAN COORDINATES (ANGSTROEM)
O 1.39 1.27 0.12
C 0.37 0.35 -0.02
C -0.16 -0.38 1.13
C 0.56 -1.10 -0.32
O -0.50 -1.12 -1.25
C -0.62 0.32 -1.18
H 1.07 1.95 0.74
H 0.48 -0.38 2.00
H -1.21 -0.61 1.26
H 0.50 -1.77 0.59
H -1.65 0.63 -0.98
H -0.23 0.83 -2.08

Results of the Mulliken charge analysis, in e, for atoms 1 through 6: O -0.4725; C 0.6246; C -0.8435; C -0.3203; O -0.3221; C -0.5142

=====

[2]
The following is a DFT calculation (wB97M-V/def2-TZVPD) of a single C4H6O2 molecule at a distorted geometry.

Computed properties:
SMILES: CC(=O)C(C)=O
HOMO level: -9.58 eV
spin multiplicity: 1
LUMO level: -0.006 Eh
Kohn-Sham gap: 9.41 eV

CARTESIAN COORDINATES (ANGSTROEM)
C 1.66 -1.25 -0.19
C 1.00 0.09 0.09
O 1.49 1.19 -0.05
C -0.47 0.02 0.49
C -1.10 1.28 1.06
O -1.11 -0.99 0.28
H 0.88 -1.70 -0.82
H 2.70 -0.94 -0.42
H 1.55 -1.61 0.85
H -2.08 1.10 1.50
H -0.99 2.17 0.41
H -0.43 1.66 2.00

Results of the Mulliken charge analysis, in e, for atoms 1 through 6: C -0.9625; C 0.5431; O -0.5427; C 0.7290; C -1.0206; O -0.5374

=====

[3]
The following is a DFT calculation (wB97M-V/def2-TZVPD) of a single C4H6O2 molecule.

Computed properties:
SMILES: CC(=O)CC=O
HOMO level: -9.99 eV
spin multiplicity: 1
LUMO level: 0.022 Eh
Kohn-Sham gap: 10.58 eV

CARTESIAN COORDINATES (ANGSTROEM)
C -1.67 -0.04 0.10
C -0.35 0.35 0.73
O -0.23 0.45 1.93
C 0.85 0.57 -0.18
C 1.57 -0.73 -0.49
O 1.94 -1.05 -1.59
H -1.56 -0.87 -0.61
H -2.10 0.80 -0.45
H -2.36 -0.34 0.89
H 0.61 1.06 -1.12
H 1.56 1.19 0.40
H 1.75 -1.39 0.39

Results of the Mulliken charge analysis, in e, for atoms 1 through 6: C -1.0564; C 0.6437; O -0.5294; C -0.4754; C 0.0047; O -0.4596

=====

[4]
The following is a DFT calculation (wB97M-V/def2-TZVPD) of a single C4H6O2 molecule at a distorted geometry.

Computed properties:
HOMO level (spin up / spin down): -9.88 / -9.75 eV
spin multiplicity: 1
LUMO level (spin up / spin down): -0.022 / -0.018 Eh
Kohn-Sham gap (spin up / spin down): 9.27 / 9.26 eV

CARTESIAN COORDINATES (ANGSTROEM)
C 0.56 1.60 -0.53
C 0.74 0.13 -0.41
O 1.55 -0.48 -1.06
C 0.04 -0.80 0.54
C -1.36 -1.15 0.52
O 0.36 -2.01 -0.07
H 1.05 2.08 0.33
H 1.03 1.95 -1.45
H -0.50 1.85 -0.50
H 0.41 -0.74 1.57
H -1.97 -1.07 -0.37
H -1.90 -1.36 1.45

Results of the Mulliken charge analysis, in e, for atoms 1 through 6: C -1.1007; C 0.5253; O -0.4950; C 0.4791; C -0.7217; O -0.4500

=====

[5]
The following is a DFT calculation (wB97M-V/def2-TZVPD) of a single C4H6O2 molecule at a distorted geometry.

Computed properties:
HOMO level: -9.59 eV
spin multiplicity: 1
LUMO level: 0.031 Eh
Kohn-Sham gap: 10.43 eV

CARTESIAN COORDINATES (ANGSTROEM)
O -1.61 -0.19 -1.12
C -0.61 -0.75 -0.32
C 0.85 -0.31 -0.46
C 0.63 1.07 0.13
C -0.18 -0.11 1.02
O 1.10 -0.80 0.90
H -1.92 0.62 -0.69
H -0.73 -1.84 -0.30
H 1.58 -0.65 -1.19
H 1.63 1.47 0.40
H 0.02 1.86 -0.30
H -0.74 -0.39 1.94

Results of the Mulliken charge analysis, in e, for atoms 1 through 6: O -0.5376; C -0.1265; C -0.0068; C -0.6393; C -0.2716; O -0.4507

=====

[6]
The following is a DFT calculation (wB97M-V/def2-TZVPD) of a single C4H6O2 molecule.

Computed properties:
SMILES: C=C[C@H](O)C=O
HOMO level: -9.83 eV
spin multiplicity: 1
LUMO level: 0.027 Eh
Kohn-Sham gap: 10.57 eV

CARTESIAN COORDINATES (ANGSTROEM)
C -0.88 -1.35 0.38
C -0.77 -0.06 0.70
C 0.11 0.86 -0.09
O -0.21 1.01 -1.47
C 1.54 0.28 -0.13
O 1.82 -0.87 0.08
H -1.31 -2.08 1.05
H -0.46 -1.73 -0.55
H -1.18 0.31 1.64
H 0.15 1.85 0.38
H -1.14 0.77 -1.59
H 2.33 1.00 -0.41

Results of the Mulliken charge analysis, in e, for atoms 1 through 6: C -0.6359; C -0.2343; C 0.0646; O -0.5354; C 0.0302; O -0.4384

=====

[7]
The following is a DFT calculation (wB97M-V/def2-TZVPD) of 2 unconnected molecules or ions with the total composition C4H6O2 at a distorted geometry.